Exercise.
It remains to give back the lines underneath from the one with "-0.351 3.991" to the one with "3.317 -0.520" verbatim.

Listing.
=====
Record 1
C4H25N2O10 | ωB97M-V/def2-TZVPD

The geometry in XYZ format:
```
41
Properties=species:S:1:pos:R:3
H 1.575 -0.022 4.290
H 2.288 -1.395 1.343
C 1.647 -0.223 -1.799
C -0.241 -1.758 -2.209
H 0.751 -0.659 0.160
H 2.425 -0.984 -1.635
H -2.243 0.730 2.641
O -2.185 -0.928 0.552
H 0.136 -1.858 2.101
H -0.823 -2.030 -3.134
H 0.144 2.753 -2.069
C 1.105 0.181 -0.406
O 0.297 -2.895 0.725
H 0.408 -2.820 -0.503
O -2.511 1.276 1.899
H 0.418 1.021 -0.321
C 2.797 -0.429 1.240
O 3.712 -0.139 1.995
H -1.982 1.554 -1.680
H 1.173 -0.921 -3.509
H -1.607 -1.692 0.756
N 0.574 -0.548 -2.769
H 0.554 -3.841 0.696
O 0.468 -2.787 -1.719
H -0.498 -1.201 3.404
H -0.351 3.991 -1.377
O 1.131 0.825 4.246
N 2.322 0.524 0.357
H 0.731 1.046 3.411
O -2.017 1.249 -2.602
H 2.046 0.791 -2.067
O -2.562 3.120 -0.080
H -2.430 -1.264 -0.317
H 2.680 1.457 0.441
O 0.466 3.625 -1.782
O -0.151 -1.010 2.524
H -1.287 0.607 -2.654
H -2.234 0.685 1.165
H -2.467 2.469 0.646
H -3.371 2.966 -0.579
H -0.885 -1.465 -1.377
```

**Orbital gap**: 8.731 eV
**Energy relative to the best compared isomer or geometry (same formula, charge and spin)**: 69.6 kcal/mol
**Max |F|**: 3.069 eV/A
**HOMO level**: -0.2157 hartree
**Net charge**: -1
**Electronic energy**: -28010.5769 eV
**Molar mass**: 261.2 g/mol

Atomic partial charges in e from the Löwdin method, atoms 1 to 2:
1. H 0.025
2. H 0.120

=====

Record 2
C4H25N3O8 | ωB97M-V/def2-TZVPD

The geometry in XYZ format:
```
40
Properties=species:S:1:pos:R:3
H -2.636 1.357 -1.967
H -0.518 0.219 1.413
C -2.234 -1.613 -0.803
H 1.372 -0.658 -3.235
C -0.860 -1.332 -0.191
C -0.678 0.116 0.351
H -3.161 0.348 0.675
H -3.068 -1.525 -0.118
H 1.161 0.497 4.197
H -2.358 -0.836 -1.580
O 1.225 -0.122 3.471
H -0.115 -1.473 -0.989
H 0.619 0.564 -1.326
O 0.088 2.431 -2.613
H 3.411 0.335 1.282
H -0.161 -0.380 -3.352
O 1.393 1.760 1.493
H 0.407 -2.316 1.163
O 3.317 -0.520 1.718
H -1.040 -3.091 0.852
N -0.581 -2.197 0.962
H 2.994 2.565 -0.067
H -2.039 -2.392 -1.546
N 0.490 0.710 -0.341
H 2.746 1.498 -1.382
O -3.481 1.242 0.829
H 0.309 2.648 -1.701
H 0.994 0.221 2.595
O 2.141 -3.198 1.273
H -0.877 2.450 -2.621
H 2.852 -2.788 0.773
H -4.298 1.137 1.328
N 2.588 1.711 -0.413
C 1.450 1.389 0.323
H -1.477 0.799 0.029
H -3.254 2.109 -0.767
O 0.505 -0.936 -2.935
H 2.098 -2.724 2.111
O -2.665 2.215 -1.533
H 3.340 -0.221 2.639
```

**Orbital gap**: 8.737 eV
**Energy relative to the best compared isomer or geometry (same formula, charge and spin)**: 44.5 kcal/mol
**Structure (SMILES)**: C[C@H](N)CNC(N)=O.O.O.O.O.O.O.O
**Max |F|**: 2.919 eV/A
**HOMO level**: -0.3149 hartree
**Electronic energy**: -25404.3650 eV
**Molar mass**: 243.3 g/mol

Atomic partial charges in e from the Löwdin method, atoms 1 to 2:
1. H 0.022
2. H 0.107

=====

Record 3
C4H25NO9S | ωB97M-V/def2-TZVPD

The geometry in XYZ format:
```
40
Properties=species:S:1:pos:R:3
H 0.758 1.265 -1.355
H -2.222 -2.786 1.109
H -0.857 -0.267 -1.242
H -0.598 3.570 0.130
O 1.063 -4.533 -2.217
H 0.892 -2.613 0.350
O 1.139 -1.106 1.407
H -3.643 3.748 1.416
H -3.191 3.818 -0.096
N -1.553 0.422 -1.004
H 2.744 1.487 0.857
H -1.613 -1.155 2.563
C 0.156 2.173 -1.186
H -0.581 -2.953 -0.852
O 1.314 -3.009 -0.447
O -2.378 -2.800 2.072
H 1.828 -0.494 1.157
H 1.619 4.416 0.986
O -3.186 4.267 0.754
H -2.486 0.017 -0.877
O -2.230 2.552 -1.283
H 2.958 -0.727 -0.762
H -2.030 -3.494 -1.143
C 0.274 2.898 0.174
H 1.058 -5.107 -1.450
C 1.651 3.625 0.219
H -0.800 -0.682 3.710
H 1.749 4.244 -0.711
H 4.115 -1.223 -1.676
C -1.326 1.746 -1.232
H 2.064 -2.457 -0.702
H 0.363 -0.675 1.803
S 3.141 2.590 0.192
O 3.163 -1.235 -1.552
H -3.315 -3.014 2.122
H 1.968 -4.330 -2.451
H 0.144 2.220 1.027
O -1.081 -0.383 2.826
O -1.522 -2.878 -0.614
H 0.451 2.864 -2.024
```

**Orbital gap**: 9.497 eV
**Energy relative to the best compared isomer or geometry (same formula, charge and spin)**: 26.4 kcal/mol
**Structure (SMILES)**: NC(=O)CCCS.O.O.O.O.O.O.O.O
**Max |F|**: 2.046 eV/A
**HOMO level**: -0.3478 hartree
**Electronic energy**: -35307.1239 eV
=====

Written answer.
H -0.351 3.991 -1.377
O 1.131 0.825 4.246
N 2.322 0.524 0.357
H 0.731 1.046 3.411
O -2.017 1.249 -2.602
H 2.046 0.791 -2.067
O -2.562 3.120 -0.080
H -2.430 -1.264 -0.317
H 2.680 1.457 0.441
O 0.466 3.625 -1.782
O -0.151 -1.010 2.524
H -1.287 0.607 -2.654
H -2.234 0.685 1.165
H -2.467 2.469 0.646
H -3.371 2.966 -0.579
H -0.885 -1.465 -1.377
```

**Orbital gap**: 8.731 eV
**Energy relative to the best compared isomer or geometry (same formula, charge and spin)**: 69.6 kcal/mol
**Max |F|**: 3.069 eV/A
**HOMO level**: -0.2157 hartree
**Net charge**: -1
**Electronic energy**: -28010.5769 eV
**Molar mass**: 261.2 g/mol

Atomic partial charges in e from the Löwdin method, atoms 1 to 2:
1. H 0.025
2. H 0.120

=====

Record 2
C4H25N3O8 | ωB97M-V/def2-TZVPD

The geometry in XYZ format:
```
40
Properties=species:S:1:pos:R:3
H -2.636 1.357 -1.967
H -0.518 0.219 1.413
C -2.234 -1.613 -0.803
H 1.372 -0.658 -3.235
C -0.860 -1.332 -0.191
C -0.678 0.116 0.351
H -3.161 0.348 0.675
H -3.068 -1.525 -0.118
H 1.161 0.497 4.197
H -2.358 -0.836 -1.580
O 1.225 -0.122 3.471
H -0.115 -1.473 -0.989
H 0.619 0.564 -1.326
O 0.088 2.431 -2.613
H 3.411 0.335 1.282
H -0.161 -0.380 -3.352
O 1.393 1.760 1.493
H 0.407 -2.316 1.163
O 3.317 -0.520 1.718